_Wanted_
Please duplicate everything underneath word for word.

_Entries_
+++
Record 1
# Ca4InAg3
Computed PXRD pattern, Cu Ka. Input: the GGA-PBE geometry in Alexandria.

Most intense lines, 10 to 90 degrees two-theta, low angle first:
Position (°2θ)  intensity
23.7  50
33.8  100
33.9  98
41.7  12
48.6  34
54.7  10
60.5  50
60.7  16
81.1  14
81.3  14

Crystal structure
Lattice parameters (Å, degrees): 9.151 9.151 9.151 33.72 33.72 33.72
Atoms (fractional coordinates):
Ca: 0.123 0.123 0.123
Ca: 0.373 0.373 0.373
Ca: 0.627 0.627 0.627
Ca: 0.877 0.877 0.877
In: 0.500 0.500 0.500
Ag: 0.000 0.000 0.000
Ag: 0.247 0.247 0.247
Ag: 0.753 0.753 0.753

=====

Record 2
# Er5Th3
Computed PXRD pattern, Cu Ka. Input: the GGA-PBE geometry in Alexandria.

Most intense lines, 10 to 90 degrees two-theta, low angle first:
Position (°2θ)  intensity
29.0  24
31.1  39
32.8  51
32.9  100
42.9  25
51.1  20
56.5  22
61.1  23
61.3  12
62.3  17

Crystal structure
Lattice parameters (Å, degrees): 3.556 5.757 12.394 90.00 90.00 90.00
Atoms (fractional coordinates):
Er: 0.000 0.000 0.000
Er: 0.000 0.000 0.498
Er: 0.000 0.500 0.336
Er: 0.500 0.000 0.249
Er: 0.500 0.500 0.085
Th: 0.000 0.500 0.829
Th: 0.500 0.000 0.752
Th: 0.500 0.500 0.587

=====

What did the second record say?
# Er5Th3
Computed PXRD pattern, Cu Ka. Input: the GGA-PBE geometry in Alexandria.

Most intense lines, 10 to 90 degrees two-theta, low angle first:
Position (°2θ)  intensity
29.0  24
31.1  39
32.8  51
32.9  100
42.9  25
51.1  20
56.5  22
61.1  23
61.3  12
62.3  17

Crystal structure
Lattice parameters (Å, degrees): 3.556 5.757 12.394 90.00 90.00 90.00
Atoms (fractional coordinates):
Er: 0.000 0.000 0.000
Er: 0.000 0.000 0.498
Er: 0.000 0.500 0.336
Er: 0.500 0.000 0.249
Er: 0.500 0.500 0.085
Th: 0.000 0.500 0.829
Th: 0.500 0.000 0.752
Th: 0.500 0.500 0.587

~~~~~

# 1
For Ho2Ti3Si4, a PBE-relaxed structure gives the calculated X-ray diffraction stick pattern in this record (λ = 1.5418 Å (Cu Kα)).

Crystal structure
a b c (Å): 7.037 7.021 6.838
angles (deg): 90.00 108.90 90.00
Space group P2_1/c (No. 14)
Unique sites:
Ho 0.189 0.169 0.067 (multiplicity 4)
Ti 0.256 0.677 0.249 (multiplicity 4)
Ti 0.500 0.000 0.500 (multiplicity 2)
Si 0.085 0.539 0.871 (multiplicity 4)
Si 0.496 0.125 0.869 (multiplicity 4)

Peak list (10 most intense, 15° ≤ 2θ ≤ 90°, in order of rising 2θ)
2θ/deg, d_spacing, intensity, h k l
18.36, 4.831, 741, 1 1 0
26.45, 3.370, 297, 1 0 -2
33.85, 2.648, 561, 1 2 1
34.25, 2.618, 548, 2 1 -2
36.50, 2.462, 1000, 2 2 -1
36.92, 2.435, 971, 1 1 2
41.01, 2.201, 562, 0 3 1
41.66, 2.168, 360, 1 1 -3
55.46, 1.657, 312, 3 3 -1
63.45, 1.466, 301, 1 3 3

=====

# 2
For Na2La2Ag, a PBE-relaxed structure gives the calculated X-ray diffraction stick pattern in this record (λ = 1.5418 Å (Cu Kα)).

Crystal structure
a b c (Å): 7.275 7.275 5.812
angles (deg): 90.00 90.00 90.00
Space group P4/mbm (No. 127)
Unique sites:
Na 0.140 0.360 0.000 (multiplicity 4)
La 0.177 0.677 0.500 (multiplicity 4)
Ag 0.000 0.000 0.000 (multiplicity 2)

Peak list (10 most intense, 15° ≤ 2θ ≤ 90°, in order of rising 2θ)
2θ/deg, d_spacing, intensity, h k l
23.09, 3.852, 438, 1 1 1
27.41, 3.253, 328, 2 1 0
28.96, 3.083, 852, 2 0 1
30.77, 2.906, 471, 0 0 2
31.51, 2.839, 1000, 2 1 1
39.16, 2.301, 343, 3 1 0
41.67, 2.167, 215, 2 1 2
50.61, 1.804, 320, 3 1 2
54.34, 1.688, 249, 4 1 1
55.91, 1.645, 206, 3 3 1

=====

# 3
For PuSnH2, a PBE-relaxed structure gives the calculated X-ray diffraction stick pattern in this record (λ = 1.5418 Å (Cu Kα)).

Crystal structure
a b c (Å): 3.6077 3.6077 16.0628
angles (deg): 90.00 90.00 120.00
Space group R-3m (No. 166, hexagonal axes)
Unique sites:
Pu 0.0000 0.0000 0.0000 (multiplicity 3)
Sn 0.0000 0.0000 0.5000 (multiplicity 3)
H 0.0000 0.0000 0.2994 (multiplicity 6)

Peak list (10 most intense, 15° ≤ 2θ ≤ 90°, in order of rising 2θ)
2θ/deg, d_spacing, intensity, h k l
16.56, 5.354, 152, 0 0 3
30.71, 2.912, 1000, 0 1 2
33.47, 2.677, 272, 0 0 6
36.44, 2.466, 653, 1 0 4
50.60, 1.804, 264, 1 1 0
54.31, 1.689, 211, 0 1 8
60.36, 1.533, 155, 2 0 2
+++

_Written answer_
Record 1
# Ca4InAg3
Computed PXRD pattern, Cu Ka. Input: the GGA-PBE geometry in Alexandria.

Most intense lines, 10 to 90 degrees two-theta, low angle first:
Position (°2θ)  intensity
23.7  50
33.8  100
33.9  98
41.7  12
48.6  34
54.7  10
60.5  50
60.7  16
81.1  14
81.3  14

Crystal structure
Lattice parameters (Å, degrees): 9.151 9.151 9.151 33.72 33.72 33.72
Atoms (fractional coordinates):
Ca: 0.123 0.123 0.123
Ca: 0.373 0.373 0.373
Ca: 0.627 0.627 0.627
Ca: 0.877 0.877 0.877
In: 0.500 0.500 0.500
Ag: 0.000 0.000 0.000
Ag: 0.247 0.247 0.247
Ag: 0.753 0.753 0.753

=====

Record 2
# Er5Th3
Computed PXRD pattern, Cu Ka. Input: the GGA-PBE geometry in Alexandria.

Most intense lines, 10 to 90 degrees two-theta, low angle first:
Position (°2θ)  intensity
29.0  24
31.1  39
32.8  51
32.9  100
42.9  25
51.1  20
56.5  22
61.1  23
61.3  12
62.3  17

Crystal structure
Lattice parameters (Å, degrees): 3.556 5.757 12.394 90.00 90.00 90.00
Atoms (fractional coordinates):
Er: 0.000 0.000 0.000
Er: 0.000 0.000 0.498
Er: 0.000 0.500 0.336
Er: 0.500 0.000 0.249
Er: 0.500 0.500 0.085
Th: 0.000 0.500 0.829
Th: 0.500 0.000 0.752
Th: 0.500 0.500 0.587

=====

What did the second record say?
# Er5Th3
Computed PXRD pattern, Cu Ka. Input: the GGA-PBE geometry in Alexandria.

Most intense lines, 10 to 90 degrees two-theta, low angle first:
Position (°2θ)  intensity
29.0  24
31.1  39
32.8  51
32.9  100
42.9  25
51.1  20
56.5  22
61.1  23
61.3  12
62.3  17

Crystal structure
Lattice parameters (Å, degrees): 3.556 5.757 12.394 90.00 90.00 90.00
Atoms (fractional coordinates):
Er: 0.000 0.000 0.000
Er: 0.000 0.000 0.498
Er: 0.000 0.500 0.336
Er: 0.500 0.000 0.249
Er: 0.500 0.500 0.085
Th: 0.000 0.500 0.829
Th: 0.500 0.000 0.752
Th: 0.500 0.500 0.587

~~~~~

# 1
For Ho2Ti3Si4, a PBE-relaxed structure gives the calculated X-ray diffraction stick pattern in this record (λ = 1.5418 Å (Cu Kα)).

Crystal structure
a b c (Å): 7.037 7.021 6.838
angles (deg): 90.00 108.90 90.00
Space group P2_1/c (No. 14)
Unique sites:
Ho 0.189 0.169 0.067 (multiplicity 4)
Ti 0.256 0.677 0.249 (multiplicity 4)
Ti 0.500 0.000 0.500 (multiplicity 2)
Si 0.085 0.539 0.871 (multiplicity 4)
Si 0.496 0.125 0.869 (multiplicity 4)

Peak list (10 most intense, 15° ≤ 2θ ≤ 90°, in order of rising 2θ)
2θ/deg, d_spacing, intensity, h k l
18.36, 4.831, 741, 1 1 0
26.45, 3.370, 297, 1 0 -2
33.85, 2.648, 561, 1 2 1
34.25, 2.618, 548, 2 1 -2
36.50, 2.462, 1000, 2 2 -1
36.92, 2.435, 971, 1 1 2
41.01, 2.201, 562, 0 3 1
41.66, 2.168, 360, 1 1 -3
55.46, 1.657, 312, 3 3 -1
63.45, 1.466, 301, 1 3 3

=====

# 2
For Na2La2Ag, a PBE-relaxed structure gives the calculated X-ray diffraction stick pattern in this record (λ = 1.5418 Å (Cu Kα)).

Crystal structure
a b c (Å): 7.275 7.275 5.812
angles (deg): 90.00 90.00 90.00
Space group P4/mbm (No. 127)
Unique sites:
Na 0.140 0.360 0.000 (multiplicity 4)
La 0.177 0.677 0.500 (multiplicity 4)
Ag 0.000 0.000 0.000 (multiplicity 2)

Peak list (10 most intense, 15° ≤ 2θ ≤ 90°, in order of rising 2θ)
2θ/deg, d_spacing, intensity, h k l
23.09, 3.852, 438, 1 1 1
27.41, 3.253, 328, 2 1 0
28.96, 3.083, 852, 2 0 1
30.77, 2.906, 471, 0 0 2
31.51, 2.839, 1000, 2 1 1
39.16, 2.301, 343, 3 1 0
41.67, 2.167, 215, 2 1 2
50.61, 1.804, 320, 3 1 2
54.34, 1.688, 249, 4 1 1
55.91, 1.645, 206, 3 3 1

=====

# 3
For PuSnH2, a PBE-relaxed structure gives the calculated X-ray diffraction stick pattern in this record (λ = 1.5418 Å (Cu Kα)).

Crystal structure
a b c (Å): 3.6077 3.6077 16.0628
angles (deg): 90.00 90.00 120.00
Space group R-3m (No. 166, hexagonal axes)
Unique sites:
Pu 0.0000 0.0000 0.0000 (multiplicity 3)
Sn 0.0000 0.0000 0.5000 (multiplicity 3)
H 0.0000 0.0000 0.2994 (multiplicity 6)

Peak list (10 most intense, 15° ≤ 2θ ≤ 90°, in order of rising 2θ)
2θ/deg, d_spacing, intensity, h k l
16.56, 5.354, 152, 0 0 3
30.71, 2.912, 1000, 0 1 2
33.47, 2.677, 272, 0 0 6
36.44, 2.466, 653, 1 0 4
50.60, 1.804, 264, 1 1 0
54.31, 1.689, 211, 0 1 8
60.36, 1.533, 155, 2 0 2